Sunday, April 2, 2017

Because China

Well is was a week of high highs and low lows.  We found out Friday that we reached our goal of $4000 for our matching grant through Life Song for Orphans!! We are so grateful for all those who gave and are blown away by your generosity.  We thought later that day we would get our Travel Approval, but heard from our agency that no Travel Approvals were given out that day.  They went on to tell us that we would not hear anything until next Wednesday at the earliest, due to a national holiday in China.  To say that we were crushed would be an understatement.  Funny thing is that all the songs on the radio that day seemed to focus on God's faithfulness.  That night we had planned to go out to celebrate our TA, but the dinner ended up being the 2 of us enjoying our own pity party thrown by us and for us.

The next morning, I (Blair) decided that we just needed to plan like we were still going to China in 2 weeks.  I figured that in the very small chance that we did get approval. we couldn't afford to lose a Saturday of prep work.  We ran a few errands and came home to get some things done.  My phone rang and it was a Colorado number, but not our agency's number.  I thought it must be another telemarketing call and was ready to give it to the poor person on the other end of the line.  The voice on the other line identified herself as the lady from our agency's travel department.  The next few words will stick with me for the rest of my life.  "Blair, this isn't an April Fool's joke.  We just got your Travel Approval from our reps in China!"  I think I must have told her to SHUT UP and then went on to threaten her if this was in fact an April Fool's joke.  She assured me that it wasn't and then went on to explain that we still won't have our Consulate's Appointment (the final step) until Wednesday at the earliest.  She said there are 5 families they are trying to get in on the April 17 Gotcha Day.

So, while we still don't know the exact travel dates, we do trust that God's timing is perfect.  Tonight we got to enjoy dinner with another couple that leaves this week to get their 2 little boys.  It was a perfect ending to an amazing weekend.

Just a couple things we would love for you to pray with us...

  • We get a Consulate Appointment that allows us to travel ASAP
  • God would prepare our hearts to welcome Lleyton into our family
  • God would prepare Lleyton's heart for all the transitions he will encounter
  • Our family would get better from the respiratory "crud" that we so graciously keep passing around. 

Sunday, March 19, 2017


First we would like to say thank you for the generous support we received toward our matching grant this week.  You can see below the progress toward this grant, or can click HERE if you are interested in contributing.  It is our prayer to be finished this week with this fundraiser.

Speaking of fundraisers, we also wanted to share about a wonderful fundraiser provided to us by virtual strangers.  I (Disa) received an email from a Noonday ambassador, Erin Cox who explained that someone wanted to host a Noonday show for an adoptive family.  She asked if we'd be interested in basically just showing up to the Noonday show and that part of the profits would be donated to help with our adoption.  Noonday's mission is "a socially responsible business that uses fashion to create meaningful opportunities around the world."  We knew Erin was a member of Fellowship Church but hadn't even met her and had no connection to Leah Roberts the complete stranger hosting the show.  It was an opportunity we couldn't pass up.  The night of the show was so much fun getting to share our adoption story with strangers and watching as they generously purchased jewelry that in turn helped in our adoption.  Erin was also great enough to come to Farragut Primary (where I am a teacher) and my co-workers were able to shop and support the adoption.  Erin then let me know that she was going to donate her commission along with the percentage raised from the show itself.  This event along with Erin's generous contribution raised $824!  A simple email, complete strangers and of course God provided for such an amazing opportunity.  If anyone is interested in learning more about Noonday or hosting a show I highly recommend contacting Erin Cox (she's on Facebook) to get more information!

And now as promised our big reveal of the week.  We would like to introduce for the first time with his soon to be American name, Lleyton Cai Benefield!  Check back next week as we should have a little more information about when we might travel!!!

Sunday, March 12, 2017

**What comes next are calculated crystals, not part of the entry:**
<<<
{"formula": "SrLiSiPd", "functional": "PBE", "state": "optimized geometry", "lattice_angstrom": [[7.487, 0.000, 0.000], [0.000, 4.333, 0.000], [-2.501, 0.000, 5.335]], "species": ["Sr", "Sr", "Li", "Li", "Si", "Si", "Pd", "Pd"], "fractional_positions": [[0.000, 0.000, 0.000], [0.500, 0.500, 0.000], [0.310, 0.500, 0.430], [0.810, 0.000, 0.430], [0.024, 0.500, 0.572], [0.524, 0.000, 0.572], [0.197, 0.000, 0.591], [0.697, 0.500, 0.591]], "total_magnetization_mub_per_cell": 0.00, "n_ef_per_ev_atom": 0.351, "volume_a3_per_atom": 21.633, "e_form_raw_ev_per_atom": -0.5781, "total_energy_ev_per_atom": -4.131}
>>>

Let the countdown begin

This week was filled with a lot of fantastic news.  We received an update on "Cai" which included new pictures.

We also received our immigration approval and now just wait for a consulate appointment and travel approval.  It still appears that we will bring him home in just over a month!

This is so exciting as the time is quickly approaching.  That also means the last fees are due before we travel.  On that note, we have had some very generous donations toward our matching grant.  We are over 1/4 of the way funded!  We are praying that the rest of the grant will be matched by the end of this month.  You can see the dollar amounts still available on the graphic below and can contribute by clicking HERE or on the link on the left if you feel God leading.

Our next blog we promise to share our son's new name as we will turn it in officially tomorrow morning.  We will also share about how complete strangers have played a part in our adoption story and more about how we have seen God continue to move.  We ask for continued prayers as we do our best to prepare our boys for their new brother and prayers for Cai as his world is about to be turned upside down.

____________
1.
A plane-wave DFT calculation with PBE was carried out for a geometry-optimized Mg2BeO3 structure.

Computed properties:
Density of states at the Fermi level ... 0.0 states/eV/f.u.
SG ... Pnma (62)
Raw total energy ... -6.19 eV per atom
Spin magnetization ... 0.00 μB per atom
Raw formation energy ... -2562 meV per atom

abc: 5.423 2.829 14.398
angles: 90.00 90.00 90.00
Positions (direct):
Mg (0.059, 0.250, 0.205)
Mg (0.233, 0.250, 0.985)
Mg (0.267, 0.750, 0.485)
Mg (0.441, 0.750, 0.705)
Mg (0.559, 0.250, 0.295)
Mg (0.733, 0.250, 0.515)
Mg (0.767, 0.750, 0.015)
Mg (0.941, 0.750, 0.795)
Be (0.095, 0.250, 0.628)
Be (0.405, 0.750, 0.128)
Be (0.595, 0.250, 0.872)
Be (0.905, 0.750, 0.372)
O (0.047, 0.250, 0.413)
O (0.112, 0.750, 0.080)
O (0.159, 0.250, 0.735)
O (0.341, 0.750, 0.235)
O (0.388, 0.250, 0.580)
O (0.453, 0.750, 0.913)
O (0.547, 0.250, 0.087)
O (0.612, 0.750, 0.420)
O (0.659, 0.250, 0.765)
O (0.841, 0.750, 0.265)
O (0.888, 0.250, 0.920)
O (0.953, 0.750, 0.587)

***

2.
A plane-wave DFT calculation with PBE was carried out for a geometry-optimized MgBeO structure.

Computed properties:
Density of states at the Fermi level ... 0.3 states/eV/f.u.
SG ... Pm (6)
Raw total energy ... -4.92 eV per atom
Spin magnetization ... 0.00 μB per atom
Raw formation energy ... -1499 meV per atom

abc: 4.945 2.921 5.000
angles: 90.00 96.96 90.00
Positions (direct):
Mg (0.000, 0.000, 0.000)
Mg (0.379, 0.000, 0.583)
Be (0.460, 0.500, 0.089)
Be (0.824, 0.500, 0.459)
O (0.779, 0.500, 0.141)
O (0.842, 0.000, 0.601)

***

3.
A plane-wave DFT calculation with PBE was carried out for a geometry-optimized MgBeO structure.

Computed properties:
Density of states at the Fermi level ... 0.4 states/eV/f.u.
SG ... P-6m2 (187)
Raw total energy ... -4.93 eV per atom
Spin magnetization ... 0.00 μB per atom
Raw formation energy ... -1504 meV per atom

abc: 2.825 2.825 5.453
angles: 90.00 90.00 120.00
Positions (direct):
Mg (0.000, 0.000, 0.000)
Be (0.333, 0.667, 0.500)
O (0.000, 0.000, 0.500)

***

4.
A plane-wave DFT calculation with PBE was carried out for a geometry-optimized MgBeO structure.

Computed properties:
Density of states at the Fermi level ... 0.6 states/eV/f.u.
SG ... P1 (1)
Raw total energy ... -4.96 eV per atom
Spin magnetization ... 0.00 μB per atom
Raw formation energy ... -1532 meV per atom

abc: 2.772 4.599 8.536
angles: 103.40 99.15 90.01
Positions (direct):
Mg (0.000, 0.000, 0.000)
Mg (0.410, 0.421, 0.817)
Be (0.219, 0.611, 0.428)
Be (0.721, 0.109, 0.432)
O (0.223, 0.275, 0.437)
O (0.718, 0.770, 0.426)

***

5.
A plane-wave DFT calculation with PBE was carried out for a geometry-optimized MgBeO structure.

Computed properties:
Density of states at the Fermi level ... 0.4 states/eV/f.u.
SG ... Pmn2_1 (31)
Raw total energy ... -4.95 eV per atom
Spin magnetization ... 0.00 μB per atom
Raw formation energy ... -1526 meV per atom

abc: 2.835 6.594 4.616
angles: 90.00 90.00 90.00
Positions (direct):
Mg (0.000, 0.087, 0.000)
Mg (0.500, 0.913, 0.500)
____________
(So much for the records of crystals)

Thank you so much for all the love and support shown in this new adoption journey!

Sunday, March 5, 2017

Our Final Addition

We announced about a month ago that we were adopting one more time.  We've shared bits and pieces of this decision but haven't put the story out in one place.  Here is a brief outline of how this new adventure came to be.

While we were in China adopting Cavin and Caffrey it was hard to not to be affected by the hundreds of orphans we met while visiting the boys' orphanages.  One particular little girl was hard to forget and we had heard that there was a possibility of reusing our dossier within a year of returning.  All though we felt that our family was complete, we couldn't forget this little girl.  A few months after coming home Blair inquired about this girl and learned she was being adopted.  We again thought is was the end of our adoption journey.  However during a quiet time Blair was studying Gideon and felt God saying we needed to "throw out our fleece."  I (Disa) decided this meant to at least turn our application back into our agency.

We had about 6 months left to reuse paperwork and prayed that if this was God leading the match would be in that timeframe and if it wasn't then the door wouldn't open.  We heard nothing over the next 5 1/2 months.  Then with 2 weeks to go we received the file of Cai.  We didn't receive much info and so asked our agency to see if we could get a little more info before we made a decision.  They informed us that we probably would not hear back from the orphanage so we should prepare to make a decision based on the little info we had been given.  24 hours later we were sent 2 videos and it was the confirmation we needed to say yes.

Since September we have been working to complete all paperwork to bring our new son home.  The timeline on the left of our blog shows our steps along the way.  We have just a few steps left and then we should be able to bring him home in early May.  We will update our blog as we go if you'd like to follow this newest adventure.

In the meantime we are trying to raise the last of the fees associated with this adoption.  We have our orphanage fee and travel costs left to fund.  Since learning in September about this adoption we have lived off one income to help fund the adoption fees as they've come.  We've recently been offered a matching grant which will hopefully fund these last 2 major expenses.  We are including the link in the sidebar (Give to matching grant) if you're interested in learning more about the grant or would like to contribute.  The link will take you to numbered squares $1-$150.  Simply choose an amount you'd like to give and click on the square.  It will then direct you to our matching grant story where you can enter the amount chosen by clicking the red DONATE button.  Every dollar given will be matched for up to $4000!  We are so blessed by all the positive support we have received since announcing the adoption.  We look forward to introducing our new son soon!

Here is a recent picture of our son.  His Chinese name is Cai and we will keep that as his middle name.  He is 3 years old and will be our youngest by about 3 months.  This means we will go from virtual twins to virtual triplets.  His brothers are very excited to bring him home soon.  Stay tuned as we will announce his new American name in the next few weeks!